[net.cms] CMS over Unix some days

G:tut (06/04/82)

I think CMS is better than Unix.  Of course, I use Unix every day
for programming, documentation, and electronic mail, whereas I
avoid CMS whenever possible.  Nonetheless, I think CMS is superior,
for several reasons:

1)  CMS allows commands to be abbreviated.  Instead of laboriously
entering "cat" every time you want to see a file, you type "t",
which is short for "type".

2)  The question mark is not reserved, and can be used as a help
facility.  For example, "batch ?" yields an explanation of the batch
command, rather than the C shell's unfriendly "No match" message.
Incidentally, the ? was inspired by RSTS, which we all know is a
paragon of software design.

{"formula": "C5H6ClN2S", "method": "wB97M-V/def2-TZVPD", "symbols": ["C", "C", "C", "C", "C", "N", "N", "S", "Cl", "H", "H", "H", "H", "H", "H"], "xyz": [[-0.5898, -0.9222, -2.1916], [-0.9475, -1.8631, -1.3330], [-1.3627, -1.0930, -3.4518], [-1.7784, -4.0967, -1.2680], [-1.9967, -2.7805, -1.9487], [-2.1171, -2.1225, -3.5453], [3.8146, 5.8735, 5.5116], [-1.4581, -5.3651, -0.4773], [-1.5531, 0.1246, -4.5780], [0.1946, -0.1145, -2.0960], [-0.4798, -1.9552, -0.4414], [-3.0217, -2.5281, -1.4222], [2.8162, 5.5500, 5.6204], [4.2294, 6.2697, 6.3562], [4.2502, 5.0229, 5.2649]], "forces_ev_per_angstrom": [[0.975, 1.156, -0.985], [-0.713, 0.585, -2.810], [-0.587, -0.666, 1.592], [0.718, -0.921, -1.014], [-1.007, 0.974, 1.292], [-0.159, -2.058, 2.288], [-2.055, 0.206, -0.043], [-0.754, 2.298, -1.407], [0.372, 0.425, -0.687], [-1.182, -1.088, 0.148], [0.969, -0.584, 2.909], [1.367, -0.118, -1.328], [1.443, 1.092, 0.425], [-0.533, -0.462, -0.221], [1.146, -0.837, -0.159]], "lumo_ev": -6.7, "gap_ha": 0.1638, "total_charge": 1}

{"formula": "C5H6ClN3O2", "method": "wB97M-V/def2-TZVPD", "symbols": ["C", "C", "C", "N", "N", "C", "Cl", "C", "N", "O", "O", "H", "H", "H", "H", "H", "H"], "xyz": [[-1.1011, -0.3989, 0.8233], [-0.2952, 0.6270, 0.0340], [1.1648, 0.4470, 0.3153], [2.0978, 0.5942, -0.5872], [3.2753, 0.5725, 0.0551], [3.2037, 0.6596, 1.4039], [4.6692, 0.7953, 2.2637], [1.9237, 0.4820, 1.8634], [1.4227, 0.3450, 3.1239], [2.2959, 0.1394, 3.9317], [0.2597, 0.6063, 3.3553], [-1.1307, -1.3841, 0.3629], [-2.0582, 0.1725, 1.0442], [-0.5483, -0.5142, 1.7977], [-0.3792, 1.6120, 0.4893], [-0.4714, 0.5790, -1.0943], [4.1372, 0.6579, -0.4627]], "forces_ev_per_angstrom": [[-0.074, 1.505, 1.482], [1.327, -0.926, -0.657], [2.010, 0.787, 2.312], [-1.224, -1.024, 1.000], [0.871, 0.918, 0.657], [0.166, -1.215, 0.487], [-0.070, 0.038, -0.078], [-1.151, 0.122, -7.838], [0.328, 1.505, 0.602], [0.259, -0.726, 1.856], [-0.437, -0.359, 0.343], [-0.575, 0.222, -0.211], [0.627, -1.710, -0.217], [-1.104, -0.050, -0.955], [-1.001, 0.315, -0.453], [0.219, 0.467, 1.610], [-0.171, 0.131, 0.061]], "lumo_ev": -0.5, "gap_ha": 0.3435, "smiles": "CCc1n[nH]c(Cl)c1[N+](=O)[O-]", "total_charge": 0}

3)  You can't delete all your files in a single command without
trying really hard.  Only the last command below actually removes
everything:	erase *
		erase * *
		erase * * a
		erase * * a1

4)  CMS can read almost any kind of tape; Unix tape work is a pain
unless you're using tar.  There's a lot to be said for IBM standard
label tapes-- they can be read around the world, and have lots of
useful information on them.  In contrast, tar tapes can't be read
on V6 systems, and blocked tar tapes made on Berkeley Unix can't
be read on non-Berkeley V7 systems.  Berkeley's tar cannot append
information to a tape.

5)  Much good software is available for CMS that doesn't run well
on Unix.  SPSS, IMSL, Tell-a-graf, etc, are all written in Fortran,
and we all know the shortcomings of f77.  When it was written, IBM's
FORTHQ was a pioneering optimizing compiler; it is still very solid.

In the end, though, one wonders why this message is being sent
over a Unix-based network.  When it comes to communications, IBM
is very weak.
			Bill Tuthill

otto (06/05/82)

The last time I used CMS it had the weird property that if I took a
snapshot of the files owned by user X (because he had a file I wanted
to read or something), then user X edited that file by reading it, changing
it, then writing it (with the same name but in a new disk location),
MY access of that file would bomb out.  The reason for this bomb out was
that my pointer to his file was still pointing to disk location where the
old file was located, not to the updated copy.  Has this been fixed?
If not, how do people deal with this strange property on a day-to-day basis.

George Otto
Bell Labs, Indian Hill

Records of molecules, kept here for reference =
____________
Record 1
The following is a quantum chemistry calculation of a cluster of 3 separate species, C18H26N5O3PS in total in a non-equilibrium geometry, from the Open Molecules 2025 dataset.

Structure (XYZ):
```
54
C18H26N5O3PS | the Open Molecules 2025 dataset | ωB97M-V/def2-TZVPD
S -0.96 0.49 -5.71
P 0.71 -0.34 -5.05
O 3.35 -2.60 1.85
O 3.95 -2.87 -3.78
O 2.02 -2.65 0.18
N -3.33 0.12 -0.19
N -0.31 0.25 4.10
N -1.53 3.57 -2.36
N 2.54 -1.93 1.23
N 1.62 -2.82 -4.59
C -1.96 0.07 0.43
C -1.96 4.41 -1.51
C -4.34 3.84 0.22
C 0.66 0.24 4.90
C -3.41 -0.47 -1.57
C 2.86 -2.29 -0.97
C 2.69 -2.48 -3.55
C 0.40 -2.01 -4.16
C -3.14 4.68 0.66
C -2.47 5.41 -0.50
C 2.74 -0.96 5.56
C -2.22 -1.20 -2.43
C -0.72 -1.29 -1.69
C 0.48 -2.06 -2.50
C -0.59 -0.60 -0.19
C 2.05 -1.65 -2.25
C 2.04 -2.31 5.69
C 1.83 0.23 5.87
H -1.86 0.53 1.52
H 1.21 -2.40 4.97
H 1.45 0.16 6.90
H -0.59 -2.47 -4.61
H 2.74 -3.12 5.48
H 3.14 -0.86 4.54
H 1.41 -3.83 -4.74
H 3.61 -1.44 -0.59
H -4.47 -0.42 -2.11
H 2.42 -0.56 -2.50
H 0.43 -3.21 -2.31
H 1.41 0.61 -4.20
H 3.53 -3.22 -1.22
H -3.48 5.41 1.40
H -2.40 -1.65 -3.51
H 1.64 -2.44 6.70
H -4.80 3.36 1.09
H 1.55 -0.52 -6.24
H -3.18 6.09 -0.99
H -4.04 3.05 -0.47
H 2.38 1.16 5.78
H 0.43 -0.59 0.38
H 3.60 -0.94 6.24
H -1.63 6.01 -0.13
H -5.09 4.46 -0.27
H -2.42 4.03 1.16
```

Properties
max |F| = 10.0 eV Å⁻¹
multiplicity = 1
SMILES = O=NOC[C@H]1C(=O)N[C@H]([PH2]=S)[C@@H]1c1ccncc1.CCCC#N.CCCC#N
Kohn-Sham gap = 7.37 eV
LUMO = -1.0 eV

***

Record 2
The following is a quantum chemistry calculation of a structure of composition C18H27AsNO4Si2Tl, from the Open Molecules 2025 dataset.

Structure (XYZ):
```
54
C18H27AsNO4Si2Tl | the Open Molecules 2025 dataset | ωB97M-V/def2-TZVPD
Tl 0.52 0.24 -1.02
As -1.12 -1.57 -0.14
Si -0.70 -1.70 2.18
Si 0.21 -3.37 -0.89
O -2.91 2.19 -3.00
O -1.45 0.61 -2.32
O 1.31 3.32 2.44
O 1.40 1.39 1.33
N -0.69 2.21 -0.27
C -0.95 4.14 1.10
C -0.30 2.97 0.75
C 1.19 3.54 -2.53
C -0.97 -0.03 2.94
C 0.94 -2.35 2.75
C 0.92 2.34 -3.11
C 1.81 1.34 -2.52
C 2.04 -3.19 -0.58
C -2.08 1.71 -2.24
C -2.44 3.73 -0.74
C -0.44 -4.91 -0.08
C -2.04 -2.84 2.78
C -2.06 4.51 0.34
C -1.72 2.58 -1.02
C 2.27 3.38 -1.58
C 0.89 2.47 1.50
C -0.07 -3.46 -2.73
C 2.68 2.09 -1.58
H -3.26 3.98 -1.39
H 1.77 -1.71 2.41
H -0.08 0.58 2.85
H 0.19 2.14 -3.88
H 2.57 -4.04 -1.03
H 2.70 4.18 -0.99
H 3.51 1.66 -1.05
H -1.93 -3.85 2.38
H 1.13 -3.37 2.41
H 0.17 -2.50 -3.21
H 0.69 4.47 -2.75
H -1.80 0.50 2.45
H 0.55 -4.24 -3.18
H -0.16 -4.97 0.97
H -2.03 -2.90 3.88
H 2.16 0.48 -3.08
H -3.03 -2.47 2.48
H 0.96 -2.35 3.85
H -0.61 4.72 1.93
H -2.61 5.41 0.59
H -1.21 -0.14 4.00
H -0.07 -5.80 -0.59
H -1.11 -3.67 -2.95
H 2.28 -3.16 0.48
H -1.53 -4.93 -0.14
H 2.08 2.91 2.87
H 2.42 -2.28 -1.05
```

Properties
max |F| = 1.0 eV Å⁻¹
energy relative to the best compared isomer or geometry (same formula, charge and spin) = 43.0 kJ/mol
multiplicity = 1
Kohn-Sham gap = 7.80 eV
LUMO = -0.5 eV

***

Record 3
____________

G:cliff (06/05/82)

The property that one person changing a shared file can munge it up for
anyone else using it is still a large part of the CMS philosophy.  The
only way around it is for the person with write permission on the file
to be nice about the way he/she updates it.  It is ok to create new
files on the disk, and a simple RENAME does not hurt the other
person (who doesn't see either the new file or the new name).  So
you make your update to a new file, quickly rename the old one to
something like BLAH OLD1 and quickly rename the new one.  This is
how we update the system disks.  Great, huh?  You can imagine
what happens to a disk that has two people writing on it...
	-Cliff Frost

jcwinterton (06/08/82)

The real problem with CMS's access to files with concurrent readers and
writers is that CMS just don't give a d..n.  What file system?
John Winterton